-- What to do --
Please restate every line further down that contains the word "crystalline".

-- Entries --
/*
1.
Below is crystalline TiNbTc4 at its relaxed geometry, with properties calculated at the PBE level.

```
TiNbTc4
1.0
-4.021 -2.138 -0.763
3.729 -1.083 -2.498
1.584 -0.001 7.076
Ti Tc Nb
1 4 1
Direct
0.500 0.000 0.500 Ti
0.929 0.095 0.265 Tc
0.595 0.429 0.265 Tc
0.071 0.905 0.735 Tc
0.405 0.571 0.735 Tc
0.000 0.500 0.000 Nb
```

Calculated values
Uncorrected energy   -9.87 eV/atom
D(E_F)   5.067 states/eV/cell

2.
Below is crystalline BaAgIr2 at its relaxed geometry, with properties calculated at the PBE level.

```
BaAgIr2
1.0
4.474 -0.004 0.019
2.240 3.872 0.019
2.215 1.277 5.699
Ag Ir Ba
1 2 1
Direct
0.452 0.452 0.644 Ag
0.730 0.730 0.810 Ir
0.061 0.061 0.817 Ir
0.257 0.257 0.229 Ba
```

Calculated values
Uncorrected energy   -5.64 eV/atom
D(E_F)   3.663 states/eV/cell

3.
Below is crystalline Sr7H12Cl2 at its relaxed geometry, with properties calculated at the PBE level.

```
Sr7H12Cl2
1.0
-1.117 9.661 -2.140
-5.273 -6.840 -4.958
-2.871 0.264 2.689
H Sr Cl
12 7 2
Direct
0.909 0.302 0.000 H
0.284 0.227 0.500 H
0.610 0.824 0.000 H
0.445 0.563 0.500 H
0.176 0.786 0.000 H
0.393 0.091 0.000 H
0.214 0.390 0.000 H
0.698 0.607 0.000 H
0.118 0.555 0.500 H
0.437 0.882 0.500 H
0.773 0.057 0.500 H
0.943 0.716 0.500 H
0.333 0.667 0.000 Sr
0.921 0.560 0.000 Sr
0.639 0.079 0.000 Sr
0.217 0.949 0.500 Sr
0.732 0.783 0.500 Sr
0.051 0.268 0.500 Sr
0.440 0.361 0.000 Sr
0.000 0.000 0.000 Cl
0.667 0.333 0.500 Cl
```

Calculated values
Uncorrected energy   -3.51 eV/atom
D(E_F)   0.000 states/eV/cell

4.
Below is crystalline Ba3SnBi at its relaxed geometry, with properties calculated at the PBE level.

```
Ba3SnBi
1.0
4.817 -0.001 0.000
-2.410 9.465 -0.307
-0.001 -0.679 10.009
Ba Bi Sn
6 2 2
Direct
0.260 0.554 0.029 Ba
0.419 0.872 0.633 Ba
0.071 0.175 0.383 Ba
0.784 0.600 0.393 Ba
0.973 0.979 0.039 Ba
0.624 0.282 0.789 Ba
0.414 0.861 0.280 Bi
0.630 0.293 0.141 Bi
0.812 0.658 0.777 Sn
0.231 0.497 0.644 Sn
```

Calculated values
Uncorrected energy   -3.42 eV/atom
D(E_F)   4.926 states/eV/cell

5.
Below is crystalline Dy2SnRh at its relaxed geometry, with properties calculated at the PBE level.

```
Dy2SnRh
1.0
3.776 0.000 0.000
1.888 3.270 0.000
1.888 1.090 8.401
Dy Rh Sn
2 1 1
Direct
0.734 0.734 0.797 Dy
0.266 0.266 0.203 Dy
0.000 0.000 0.000 Rh
0.500 0.500 0.500 Sn
```

Calculated values
Uncorrected energy   -5.75 eV/atom
D(E_F)   2.661 states/eV/cell

6.
Below is crystalline Tb4Tm7Sc at its relaxed geometry, with properties calculated at the PBE level.

```
Tb4Tm7Sc
1.0
-5.731 2.063 -2.714
-2.554 -5.712 -1.269
-10.658 0.315 4.562
Tb Tm Sc
4 7 1
Direct
0.685 0.833 0.695 Tb
0.536 0.651 0.280 Tb
0.464 0.349 0.720 Tb
0.315 0.167 0.305 Tb
0.196 0.496 0.049 Tm
0.274 0.812 0.616 Tm
0.804 0.504 0.951 Tm
0.500 0.000 0.000 Tm
0.943 0.678 0.363 Tm
0.057 0.322 0.637 Tm
0.726 0.188 0.384 Tm
0.000 0.000 0.000 Sc
```

Calculated values
Uncorrected energy   -4.58 eV/atom
D(E_F)   20.892 states/eV/cell

7.
Below is crystalline Cs2PuBiO6 at its relaxed geometry, with properties calculated at the PBE level.

```
Cs2PuBiO6
1.0
6.308 0.000 0.000
3.154 5.463 0.000
3.154 1.821 5.150
O Cs Pu Bi
6 2 1 1
Direct
0.229 0.771 0.229 O
0.229 0.771 0.771 O
0.229 0.229 0.771 O
0.771 0.771 0.229 O
0.771 0.229 0.229 O
0.771 0.229 0.771 O
0.750 0.750 0.750 Cs
0.250 0.250 0.250 Cs
0.000 0.000 0.000 Pu
0.500 0.500 0.500 Bi
```

Calculated values
E_form (uncorrected)   -1.907 eV/atom
Uncorrected energy   -6.87 eV/atom

8.
Below is crystalline PrYSe3 at its relaxed geometry, with properties calculated at the PBE level.

```
PrYSe3
1.0
-1.108 3.933 0.703
-3.066 0.492 -7.588
-7.102 -2.618 3.455
Pr Se Y
2 6 2
Direct
0.750 0.621 0.771 Pr
0.250 0.379 0.229 Pr
0.250 0.900 0.680 Se
0.250 0.685 0.025 Se
0.750 0.625 0.390 Se
0.750 0.100 0.320 Se
0.750 0.315 0.975 Se
0.250 0.375 0.610 Se
0.750 0.146 0.674 Y
0.250 0.854 0.326 Y
```

Calculated values
E_form (uncorrected)   -1.882 eV/atom
Uncorrected energy   -6.22 eV/atom

9.
*/

-- Response --
Below is crystalline TiNbTc4 at its relaxed geometry, with properties calculated at the PBE level.
Below is crystalline BaAgIr2 at its relaxed geometry, with properties calculated at the PBE level.
Below is crystalline Sr7H12Cl2 at its relaxed geometry, with properties calculated at the PBE level.
Below is crystalline Ba3SnBi at its relaxed geometry, with properties calculated at the PBE level.
Below is crystalline Dy2SnRh at its relaxed geometry, with properties calculated at the PBE level.
Below is crystalline Tb4Tm7Sc at its relaxed geometry, with properties calculated at the PBE level.
Below is crystalline Cs2PuBiO6 at its relaxed geometry, with properties calculated at the PBE level.
Below is crystalline PrYSe3 at its relaxed geometry, with properties calculated at the PBE level.